[Exercise]
What is needed: quote the contents below with every line break kept.
[Listing]
'''
Entry A
HgAu4 | meta-GGA SCAN | PBEsol geometry

Properties
As for the calculated volume: 89 Å³/cell. The density comes out at 18.51 g/cm³. For the total magnetization, the calculation gives 0.000 μB/atom.

a b c (Å): 11.7526 11.7526 11.7526
angles (deg): 14.51 14.51 14.51
With the nearest neighbours (Å) after each atom.
Positions (direct):
Hg (0.0000, 0.0000, 0.0000)  6 Au 2.96, 6 Hg 2.97
Au (0.1990, 0.1990, 0.1990)  12 Au 2.83-2.97
Au (0.4026, 0.4026, 0.4026)  9 Au 2.85-2.97, 3 Hg 2.96
Au (0.5974, 0.5974, 0.5974)  9 Au 2.85-2.97, 3 Hg 2.96
Au (0.8010, 0.8010, 0.8010)  12 Au 2.83-2.97

=====

Entry B
HgAu4 | meta-GGA SCAN | PBEsol geometry

Properties
As for the calculated volume: 88 Å³/cell. The density comes out at 18.64 g/cm³. For the total magnetization, the calculation gives 0.000 μB/atom.

a b c (Å): 5.0371 5.0371 5.0371
angles (deg): 100.02 100.02 130.70
With the nearest neighbours (Å) after each atom.
Positions (direct):
Hg (0.0000, 0.0000, 0.0000)  12 Au 2.90-2.94
Au (0.1979, 0.4019, 0.5998)  9 Au 2.86-2.96, 3 Hg 2.90-2.94
Au (0.4019, 0.8021, 0.2040)  9 Au 2.86-2.96, 3 Hg 2.90-2.94
Au (0.5981, 0.1979, 0.7960)  9 Au 2.86-2.96, 3 Hg 2.90-2.94
Au (0.8021, 0.5981, 0.4002)  9 Au 2.86-2.96, 3 Hg 2.90-2.94

=====

The most stable of them is entry B.

=====

Entry A
Hg2IrAu | meta-GGA SCAN | PBEsol geometry

Properties
As for the calculated volume: 71 Å³/cell. The density comes out at 18.49 g/cm³. For the total magnetization, the calculation gives 0.000 μB/atom.

a b c (Å): 2.9720 4.1218 5.7929
angles (deg): 90.00 90.00 90.00
With the nearest neighbours (Å) after each atom.
Positions (direct):
Hg (0.0000, 0.0000, 0.0000)  2 Ir 2.86-2.94, 4 Au 2.89, 6 Hg 2.97-3.04
Hg (0.5000, 0.5000, 0.2873)  2 Au 2.74-3.05, 4 Ir 2.84, 6 Hg 2.97-3.04
Ir (0.0000, 0.0000, 0.5071)  6 Hg 2.84-2.94, 4 Au 2.93, 2 Ir 2.97
Au (0.5000, 0.5000, 0.7606)  6 Hg 2.74-3.05, 4 Ir 2.93, 2 Au 2.97

=====

Entry B
Hg2IrAu | meta-GGA SCAN | PBEsol geometry

Properties
As for the calculated volume: 71 Å³/cell. The density comes out at 18.61 g/cm³. For the total magnetization, the calculation gives 0.000 μB/atom.

a b c (Å): 4.6375 4.6375 4.6375
angles (deg): 60.00 60.00 60.00
With the nearest neighbours (Å) after each atom.
Positions (direct):
Hg (0.2500, 0.2500, 0.2500)  4 Ir 2.84, 4 Au 2.84
Hg (0.7500, 0.7500, 0.7500)  4 Ir 2.84, 4 Au 2.84
Ir (0.0000, 0.0000, 0.0000)  8 Hg 2.84
Au (0.5000, 0.5000, 0.5000)  8 Hg 2.84

=====

Entry C
Hg2IrAu | meta-GGA SCAN | PBEsol geometry

Properties
As for the calculated volume: 71 Å³/cell. The density comes out at 18.47 g/cm³. For the total magnetization, the calculation gives 0.000 μB/atom.

a b c (Å): 5.5751 5.5751 5.5751
angles (deg): 148.48 127.62 62.42
With the nearest neighbours (Å) after each atom.
Positions (direct):
Hg (0.2433, 0.2433, 0.0000)  2 Ir 2.77, 2 Au 2.88, 6 Hg 2.89-3.03
Hg (0.7567, 0.7567, 0.0000)  2 Ir 2.77, 2 Au 2.88, 6 Hg 2.89-3.03
Ir (0.0000, 0.5000, 0.5000)  4 Hg 2.77, 4 Au 2.89, 2 Ir 3.03
Au (0.5000, 0.0000, 0.5000)  4 Hg 2.88, 4 Ir 2.89, 2 Au 3.03

=====

The most stable of them is entry C.

=====

Entry A
MgHgAu | meta-GGA SCAN | PBEsol geometry

Properties
As for the calculated volume: 66 Å³/cell. The density comes out at 10.54 g/cm³. For the total magnetization, the calculation gives 0.000 μB/atom.

a b c (Å): 4.5464 4.5464 4.5464
angles (deg): 60.00 60.00 60.00
With the nearest neighbours (Å) after each atom.
Positions (direct):
Mg (0.0000, 0.0000, 0.0000)  4 Au 2.78
Hg (0.5000, 0.5000, 0.5000)  4 Au 2.78
Au (0.7500, 0.7500, 0.7500)  4 Hg 2.78, 4 Mg 2.78

=====

Entry B
MgHgAu | meta-GGA SCAN | PBEsol geometry

Properties
As for the calculated volume: 56 Å³/cell. The density comes out at 12.57 g/cm³. For the total magnetization, the calculation gives 0.000 μB/atom.

a b c (Å): 5.1099 5.1099 5.1099
angles (deg): 139.51 139.51 58.59
With the nearest neighbours (Å) after each atom.
Positions (direct):
Mg (0.0000, 0.0000, 0.0000)  5 Au 2.84-3.11, 5 Hg 2.92-2.94
'''
[Solution]
Entry A
HgAu4 | meta-GGA SCAN | PBEsol geometry

Properties
As for the calculated volume: 89 Å³/cell. The density comes out at 18.51 g/cm³. For the total magnetization, the calculation gives 0.000 μB/atom.

a b c (Å): 11.7526 11.7526 11.7526
angles (deg): 14.51 14.51 14.51
With the nearest neighbours (Å) after each atom.
Positions (direct):
Hg (0.0000, 0.0000, 0.0000)  6 Au 2.96, 6 Hg 2.97
Au (0.1990, 0.1990, 0.1990)  12 Au 2.83-2.97
Au (0.4026, 0.4026, 0.4026)  9 Au 2.85-2.97, 3 Hg 2.96
Au (0.5974, 0.5974, 0.5974)  9 Au 2.85-2.97, 3 Hg 2.96
Au (0.8010, 0.8010, 0.8010)  12 Au 2.83-2.97

=====

Entry B
HgAu4 | meta-GGA SCAN | PBEsol geometry

Properties
As for the calculated volume: 88 Å³/cell. The density comes out at 18.64 g/cm³. For the total magnetization, the calculation gives 0.000 μB/atom.

a b c (Å): 5.0371 5.0371 5.0371
angles (deg): 100.02 100.02 130.70
With the nearest neighbours (Å) after each atom.
Positions (direct):
Hg (0.0000, 0.0000, 0.0000)  12 Au 2.90-2.94
Au (0.1979, 0.4019, 0.5998)  9 Au 2.86-2.96, 3 Hg 2.90-2.94
Au (0.4019, 0.8021, 0.2040)  9 Au 2.86-2.96, 3 Hg 2.90-2.94
Au (0.5981, 0.1979, 0.7960)  9 Au 2.86-2.96, 3 Hg 2.90-2.94
Au (0.8021, 0.5981, 0.4002)  9 Au 2.86-2.96, 3 Hg 2.90-2.94

=====

The most stable of them is entry B.

=====

Entry A
Hg2IrAu | meta-GGA SCAN | PBEsol geometry

Properties
As for the calculated volume: 71 Å³/cell. The density comes out at 18.49 g/cm³. For the total magnetization, the calculation gives 0.000 μB/atom.

a b c (Å): 2.9720 4.1218 5.7929
angles (deg): 90.00 90.00 90.00
With the nearest neighbours (Å) after each atom.
Positions (direct):
Hg (0.0000, 0.0000, 0.0000)  2 Ir 2.86-2.94, 4 Au 2.89, 6 Hg 2.97-3.04
Hg (0.5000, 0.5000, 0.2873)  2 Au 2.74-3.05, 4 Ir 2.84, 6 Hg 2.97-3.04
Ir (0.0000, 0.0000, 0.5071)  6 Hg 2.84-2.94, 4 Au 2.93, 2 Ir 2.97
Au (0.5000, 0.5000, 0.7606)  6 Hg 2.74-3.05, 4 Ir 2.93, 2 Au 2.97

=====

Entry B
Hg2IrAu | meta-GGA SCAN | PBEsol geometry

Properties
As for the calculated volume: 71 Å³/cell. The density comes out at 18.61 g/cm³. For the total magnetization, the calculation gives 0.000 μB/atom.

a b c (Å): 4.6375 4.6375 4.6375
angles (deg): 60.00 60.00 60.00
With the nearest neighbours (Å) after each atom.
Positions (direct):
Hg (0.2500, 0.2500, 0.2500)  4 Ir 2.84, 4 Au 2.84
Hg (0.7500, 0.7500, 0.7500)  4 Ir 2.84, 4 Au 2.84
Ir (0.0000, 0.0000, 0.0000)  8 Hg 2.84
Au (0.5000, 0.5000, 0.5000)  8 Hg 2.84

=====

Entry C
Hg2IrAu | meta-GGA SCAN | PBEsol geometry

Properties
As for the calculated volume: 71 Å³/cell. The density comes out at 18.47 g/cm³. For the total magnetization, the calculation gives 0.000 μB/atom.

a b c (Å): 5.5751 5.5751 5.5751
angles (deg): 148.48 127.62 62.42
With the nearest neighbours (Å) after each atom.
Positions (direct):
Hg (0.2433, 0.2433, 0.0000)  2 Ir 2.77, 2 Au 2.88, 6 Hg 2.89-3.03
Hg (0.7567, 0.7567, 0.0000)  2 Ir 2.77, 2 Au 2.88, 6 Hg 2.89-3.03
Ir (0.0000, 0.5000, 0.5000)  4 Hg 2.77, 4 Au 2.89, 2 Ir 3.03
Au (0.5000, 0.0000, 0.5000)  4 Hg 2.88, 4 Ir 2.89, 2 Au 3.03

=====

The most stable of them is entry C.

=====

Entry A
MgHgAu | meta-GGA SCAN | PBEsol geometry

Properties
As for the calculated volume: 66 Å³/cell. The density comes out at 10.54 g/cm³. For the total magnetization, the calculation gives 0.000 μB/atom.

a b c (Å): 4.5464 4.5464 4.5464
angles (deg): 60.00 60.00 60.00
With the nearest neighbours (Å) after each atom.
Positions (direct):
Mg (0.0000, 0.0000, 0.0000)  4 Au 2.78
Hg (0.5000, 0.5000, 0.5000)  4 Au 2.78
Au (0.7500, 0.7500, 0.7500)  4 Hg 2.78, 4 Mg 2.78

=====

Entry B
MgHgAu | meta-GGA SCAN | PBEsol geometry

Properties
As for the calculated volume: 56 Å³/cell. The density comes out at 12.57 g/cm³. For the total magnetization, the calculation gives 0.000 μB/atom.

a b c (Å): 5.1099 5.1099 5.1099
angles (deg): 139.51 139.51 58.59
With the nearest neighbours (Å) after each atom.
Positions (direct):
Mg (0.0000, 0.0000, 0.0000)  5 Au 2.84-3.11, 5 Hg 2.92-2.94